**File**
........
# Mg14CrNi
Calculated powder diffraction line list, Cu Kα X-rays. Input: a PBE-relaxed structure.
No peak broadening, texture or thermal motion is included.

The 6 most intense peaks (15 to 90 degrees two-theta), in order of falling intensity:
| 2θ (°) | I_rel |
| --- | --- |
| 37.97 | 100 |
| 33.23 | 26 |
| 36.17 | 25 |
| 71.53 | 18 |
| 66.24 | 17 |
| 59.37 | 17 |

Cell and atoms:
```
16
Lattice="6.2269 0.0000 0.0000 -3.1135 5.3927 0.0000 0.0000 0.0000 9.9347" Properties=species:S:1:pos:R:3 pbc="T T T"
Mg 0.0000 0.0000 2.4685
Mg 0.0000 0.0000 7.4661
Mg -1.4913 2.7341 2.5415
Mg -1.4913 2.7341 7.3932
Mg 1.5496 0.8947 4.9673
Mg 1.5691 0.9059 0.0000
Mg 1.4913 2.7341 2.5415
Mg 1.4913 2.7341 7.3932
Mg 0.0000 5.3172 2.5415
Mg 0.0000 5.3172 7.3932
Mg 4.6578 0.9059 0.0000
Mg 3.1135 3.5808 0.0000
Mg 4.6773 0.8947 4.9673
Mg 3.1135 3.6033 4.9673
Cr 0.0000 3.5951 0.0000
Ni 0.0000 3.5951 4.9673
```


# NaLuS2
Calculated powder diffraction line list, Cu Kα X-rays. Input: a PBE-relaxed structure.
No peak broadening, texture or thermal motion is included.

The 6 most intense peaks (15 to 90 degrees two-theta), in order of falling intensity:
| 2θ (°) | I_rel |
| --- | --- |
| 32.01 | 100 |
| 26.75 | 48 |
| 45.26 | 36 |
| 46.54 | 35 |
| 27.88 | 34 |
| 48.64 | 23 |

Cell and atoms:
```
4
Lattice="1.9513 1.1266 6.6332 -1.9513 1.1266 6.6332 0.0000 -2.2532 6.6332" Properties=species:S:1:pos:R:3 pbc="T T T"
Na 0.0000 0.0000 0.0000
Lu 0.0000 0.0000 9.9498
S 0.0000 0.0000 4.8042
S 0.0000 0.0000 15.0954
```


# La2Ga9Ru3
Calculated powder diffraction line list, Cu Kα X-rays. Input: a PBE-relaxed structure.
No peak broadening, texture or thermal motion is included.

The 6 most intense peaks (15 to 90 degrees two-theta), in order of falling intensity:
| 2θ (°) | I_rel |
| --- | --- |
| 35.88 | 100 |
| 40.87 | 85 |
| 35.73 | 56 |
| 41.28 | 41 |
| 36.01 | 38 |
| 55.59 | 19 |

Cell and atoms:
```
28
Lattice="6.5610 -3.8371 0.0000 6.5610 3.8371 0.0000 0.0000 0.0000 9.9769" Properties=species:S:1:pos:R:3 pbc="T T T"
La 4.4104 2.5565 7.4827
La 8.7116 2.5565 7.4827
La 4.4104 -2.5565 2.4942
La 8.7116 -2.5565 2.4942
Ga 4.4172 2.5185 0.7133
Ga 4.4172 2.5185 4.2752
Ga 6.5610 2.8377 2.4942
Ga 8.7048 2.5185 0.7133
Ga 8.7048 2.5185 4.2752
Ga 5.2048 0.4658 2.4942
Ga 6.5610 1.2340 5.5209
Ga 6.5610 1.2340 9.4444
Ga 5.2048 -0.4658 7.4827
Ga 7.9172 0.4658 2.4942
Ga 6.5610 -1.2340 0.5325
Ga 6.5610 -1.2340 4.4560
Ga 7.9172 -0.4658 7.4827
Ga 4.4172 -2.5185 5.7017
Ga 4.4172 -2.5185 9.2636
Ga 6.5610 -2.8377 7.4827
Ga 8.7048 -2.5185 5.7017
Ga 8.7048 -2.5185 9.2636
Ru 0.0000 0.0000 0.0000
Ru 0.0000 0.0000 4.9884
Ru 4.2961 0.0000 0.0000
Ru 4.2961 0.0000 4.9884
Ru 8.8260 0.0000 0.0000
Ru 8.8260 0.0000 4.9884
```


> Number 3 is which compound?

La2Ga9Ru3

* * * * *

Record 1
Starting from a cell relaxed with PBE, the PXRD pattern of LaPa4O10 was computed for copper Kα.
Kinematic intensities with the Lorentz-polarization factor, no thermal factor.

Atomic structure:
```
data_LaPa4O10
_chemical_formula_sum 'La1 Pa4 O10'
_space_group_name_H-M_alt 'P 1'
_space_group_IT_number 1
_cell_length_a 16.040
_cell_length_b 16.040
_cell_length_c 16.040
_cell_angle_alpha 13.97
_cell_angle_beta 13.97
_cell_angle_gamma 13.97
loop_
_space_group_symop_operation_xyz
'x,y,z'
loop_
_atom_site_label
_atom_site_fract_x
_atom_site_fract_y
_atom_site_fract_z
La1 0.000 0.000 0.000
Pa1 0.200 0.200 0.200
Pa2 0.401 0.401 0.401
Pa3 0.599 0.599 0.599
Pa4 0.800 0.800 0.800
O1 0.055 0.055 0.055
O2 0.150 0.150 0.150
O3 0.248 0.248 0.248
O4 0.355 0.355 0.355
O5 0.451 0.451 0.451
O6 0.549 0.549 0.549
O7 0.645 0.645 0.645
O8 0.752 0.752 0.752
O9 0.850 0.850 0.850
O10 0.945 0.945 0.945
```

The 10 most intense peaks (5° ≤ 2θ ≤ 70°), sorted by position:
d 15.881, 5.56°, I = 7.7; d 7.941, 11.14°, I = 1.7; d 3.182, 28.04°, I = 100.0; d 2.756, 32.49°, I = 36.2; d 1.948, 46.61°, I = 50.0; d 1.662, 55.26°, I = 35.2; d 1.660, 55.35°, I = 11.7; d 1.592, 57.93°, I = 7.8; d 1.588, 58.08°, I = 2.7; d 1.378, 68.05°, I = 7.8
........
**Assignment**
It remains to echo the lines further up without altering anything.
**Response**
# Mg14CrNi
Calculated powder diffraction line list, Cu Kα X-rays. Input: a PBE-relaxed structure.
No peak broadening, texture or thermal motion is included.

The 6 most intense peaks (15 to 90 degrees two-theta), in order of falling intensity:
| 2θ (°) | I_rel |
| --- | --- |
| 37.97 | 100 |
| 33.23 | 26 |
| 36.17 | 25 |
| 71.53 | 18 |
| 66.24 | 17 |
| 59.37 | 17 |

Cell and atoms:
```
16
Lattice="6.2269 0.0000 0.0000 -3.1135 5.3927 0.0000 0.0000 0.0000 9.9347" Properties=species:S:1:pos:R:3 pbc="T T T"
Mg 0.0000 0.0000 2.4685
Mg 0.0000 0.0000 7.4661
Mg -1.4913 2.7341 2.5415
Mg -1.4913 2.7341 7.3932
Mg 1.5496 0.8947 4.9673
Mg 1.5691 0.9059 0.0000
Mg 1.4913 2.7341 2.5415
Mg 1.4913 2.7341 7.3932
Mg 0.0000 5.3172 2.5415
Mg 0.0000 5.3172 7.3932
Mg 4.6578 0.9059 0.0000
Mg 3.1135 3.5808 0.0000
Mg 4.6773 0.8947 4.9673
Mg 3.1135 3.6033 4.9673
Cr 0.0000 3.5951 0.0000
Ni 0.0000 3.5951 4.9673
```


# NaLuS2
Calculated powder diffraction line list, Cu Kα X-rays. Input: a PBE-relaxed structure.
No peak broadening, texture or thermal motion is included.

The 6 most intense peaks (15 to 90 degrees two-theta), in order of falling intensity:
| 2θ (°) | I_rel |
| --- | --- |
| 32.01 | 100 |
| 26.75 | 48 |
| 45.26 | 36 |
| 46.54 | 35 |
| 27.88 | 34 |
| 48.64 | 23 |

Cell and atoms:
```
4
Lattice="1.9513 1.1266 6.6332 -1.9513 1.1266 6.6332 0.0000 -2.2532 6.6332" Properties=species:S:1:pos:R:3 pbc="T T T"
Na 0.0000 0.0000 0.0000
Lu 0.0000 0.0000 9.9498
S 0.0000 0.0000 4.8042
S 0.0000 0.0000 15.0954
```


# La2Ga9Ru3
Calculated powder diffraction line list, Cu Kα X-rays. Input: a PBE-relaxed structure.
No peak broadening, texture or thermal motion is included.

The 6 most intense peaks (15 to 90 degrees two-theta), in order of falling intensity:
| 2θ (°) | I_rel |
| --- | --- |
| 35.88 | 100 |
| 40.87 | 85 |
| 35.73 | 56 |
| 41.28 | 41 |
| 36.01 | 38 |
| 55.59 | 19 |

Cell and atoms:
```
28
Lattice="6.5610 -3.8371 0.0000 6.5610 3.8371 0.0000 0.0000 0.0000 9.9769" Properties=species:S:1:pos:R:3 pbc="T T T"
La 4.4104 2.5565 7.4827
La 8.7116 2.5565 7.4827
La 4.4104 -2.5565 2.4942
La 8.7116 -2.5565 2.4942
Ga 4.4172 2.5185 0.7133
Ga 4.4172 2.5185 4.2752
Ga 6.5610 2.8377 2.4942
Ga 8.7048 2.5185 0.7133
Ga 8.7048 2.5185 4.2752
Ga 5.2048 0.4658 2.4942
Ga 6.5610 1.2340 5.5209
Ga 6.5610 1.2340 9.4444
Ga 5.2048 -0.4658 7.4827
Ga 7.9172 0.4658 2.4942
Ga 6.5610 -1.2340 0.5325
Ga 6.5610 -1.2340 4.4560
Ga 7.9172 -0.4658 7.4827
Ga 4.4172 -2.5185 5.7017
Ga 4.4172 -2.5185 9.2636
Ga 6.5610 -2.8377 7.4827
Ga 8.7048 -2.5185 5.7017
Ga 8.7048 -2.5185 9.2636
Ru 0.0000 0.0000 0.0000
Ru 0.0000 0.0000 4.9884
Ru 4.2961 0.0000 0.0000
Ru 4.2961 0.0000 4.9884
Ru 8.8260 0.0000 0.0000
Ru 8.8260 0.0000 4.9884
```


> Number 3 is which compound?

La2Ga9Ru3

* * * * *

Record 1
Starting from a cell relaxed with PBE, the PXRD pattern of LaPa4O10 was computed for copper Kα.
Kinematic intensities with the Lorentz-polarization factor, no thermal factor.

Atomic structure:
```
data_LaPa4O10
_chemical_formula_sum 'La1 Pa4 O10'
_space_group_name_H-M_alt 'P 1'
_space_group_IT_number 1
_cell_length_a 16.040
_cell_length_b 16.040
_cell_length_c 16.040
_cell_angle_alpha 13.97
_cell_angle_beta 13.97
_cell_angle_gamma 13.97
loop_
_space_group_symop_operation_xyz
'x,y,z'
loop_
_atom_site_label
_atom_site_fract_x
_atom_site_fract_y
_atom_site_fract_z
La1 0.000 0.000 0.000
Pa1 0.200 0.200 0.200
Pa2 0.401 0.401 0.401
Pa3 0.599 0.599 0.599
Pa4 0.800 0.800 0.800
O1 0.055 0.055 0.055
O2 0.150 0.150 0.150
O3 0.248 0.248 0.248
O4 0.355 0.355 0.355
O5 0.451 0.451 0.451
O6 0.549 0.549 0.549
O7 0.645 0.645 0.645
O8 0.752 0.752 0.752
O9 0.850 0.850 0.850
O10 0.945 0.945 0.945
```

The 10 most intense peaks (5° ≤ 2θ ≤ 70°), sorted by position:
d 15.881, 5.56°, I = 7.7; d 7.941, 11.14°, I = 1.7; d 3.182, 28.04°, I = 100.0; d 2.756, 32.49°, I = 36.2; d 1.948, 46.61°, I = 50.0; d 1.662, 55.26°, I = 35.2; d 1.660, 55.35°, I = 11.7; d 1.592, 57.93°, I = 7.8; d 1.588, 58.08°, I = 2.7; d 1.378, 68.05°, I = 7.8